• Material:
********
1.
ORCA calculation (the ωB97M-V functional and the def2-TZVPD basis) on a cluster of 9 separate species, C26H55N5O8 in total at a distorted geometry.

Geometry as XYZ:
```
94
Properties=species:S:1:pos:R:3:forces:R:3
C -12.3025 -13.9991 15.9784 -0.192 -0.574 0.190
O -11.5558 -13.1323 15.5863 0.276 0.232 -0.069
N -12.2057 -15.3253 15.7019 0.023 0.337 0.221
C -13.2139 -16.2608 16.1400 0.205 -0.712 0.046
C -11.0991 -15.8424 14.9357 0.417 0.110 -0.349
H -13.1479 -13.7923 16.6596 -0.073 0.060 -0.121
H -13.8211 -15.8506 16.9446 -0.158 0.233 -0.207
H -12.7472 -17.1605 16.5528 0.140 0.134 -0.014
H -13.8183 -16.5958 15.2923 -0.237 0.159 0.127
H -11.4301 -16.4915 14.1230 -0.176 0.009 0.062
H -10.5481 -15.0093 14.5021 -0.084 0.030 0.043
H -10.4025 -16.4126 15.5568 -0.140 -0.062 0.049
C -13.3336 -25.6846 21.6668 -0.175 -0.156 -0.080
O -12.4981 -26.1250 22.4249 0.201 -0.027 0.140
N -14.4932 -25.0997 22.0408 -0.236 -0.053 -0.223
C -15.3277 -24.4340 21.0694 -0.328 0.206 -0.143
C -14.7776 -24.8568 23.4330 0.260 0.162 0.267
H -13.2418 -25.7568 20.5707 0.050 0.034 -0.042
H -16.3908 -24.5848 21.2787 0.098 -0.080 0.236
H -15.1799 -24.8234 20.0638 0.317 0.093 0.019
H -15.1467 -23.3529 21.0788 -0.026 -0.040 -0.142
H -14.2934 -25.6113 24.0474 -0.001 -0.062 -0.065
H -14.3916 -23.8798 23.7509 -0.109 -0.032 -0.015
H -15.8527 -24.8821 23.5946 -0.054 -0.015 0.015
C -12.4289 -19.7192 18.0043 -0.107 0.125 0.165
O -11.7012 -18.7367 18.0009 0.028 -0.135 0.066
N -13.2170 -20.0812 19.0484 0.296 -0.494 -0.825
C -14.0490 -21.2587 18.9849 -0.366 -0.471 0.453
C -13.1742 -19.3736 20.2823 -0.296 1.068 0.314
H -12.5164 -20.3923 17.1429 -0.092 -0.037 -0.037
H -15.0618 -21.0306 19.3368 0.041 0.157 -0.098
H -13.6844 -22.0533 19.6472 0.146 0.063 -0.115
H -14.1409 -21.6769 17.9879 0.258 0.167 -0.144
H -12.6036 -19.8622 21.0759 -0.078 -0.232 -0.052
H -12.7431 -18.3866 20.1169 0.163 -0.134 -0.100
H -14.1993 -19.1863 20.6093 -0.004 -0.191 0.315
C -10.4369 -22.7214 17.4682 -0.398 0.087 0.190
O -11.5829 -23.0496 17.1947 0.279 0.201 -0.031
N -9.3479 -23.4893 17.3198 0.102 0.027 0.025
C -8.0930 -23.1258 17.9291 0.334 -0.009 0.472
C -9.4616 -24.8396 16.8487 0.137 -0.738 -0.087
H -10.1805 -21.7364 17.8926 -0.148 0.063 -0.058
H -7.2643 -23.4534 17.3030 0.003 0.099 -0.082
H -7.9706 -23.5998 18.9135 -0.056 -0.069 -0.170
H -8.0165 -22.0523 18.0953 -0.113 0.030 -0.205
H -10.4466 -25.0129 16.4284 -0.033 0.114 -0.011
H -8.7004 -25.0468 16.0919 -0.062 0.113 -0.028
H -9.3034 -25.5639 17.6579 -0.068 0.140 0.019
C -12.0295 -16.4558 22.0611 -0.493 0.146 -0.406
C -12.3525 -17.2470 23.3062 0.387 0.285 0.084
O -13.4729 -17.2892 23.7462 -0.337 -0.159 0.011
C -11.2036 -17.9146 24.0363 0.002 0.172 -0.344
H -12.9475 -16.2412 21.5099 -0.030 -0.083 0.130
H -11.3471 -16.9693 21.3841 0.204 0.025 0.225
H -11.6192 -15.4816 22.3396 0.268 -0.140 0.081
H -11.4600 -18.9616 24.1881 0.093 -0.022 0.119
H -11.0716 -17.4283 25.0018 -0.102 -0.078 0.091
H -10.2718 -17.8208 23.4813 0.020 -0.137 0.005
C -17.6692 -22.4093 17.8063 0.082 0.009 -0.191
C -16.8333 -23.5332 17.2500 -0.269 -0.176 0.222
O -15.7810 -23.8697 17.7449 0.199 0.159 0.068
C -17.4192 -24.3021 16.1014 -0.292 0.157 -0.363
H -17.3928 -22.2140 18.8387 0.014 -0.014 0.048
H -18.7248 -22.6712 17.7263 -0.014 0.123 0.082
H -17.5102 -21.4948 17.2257 -0.011 -0.037 -0.001
H -17.6466 -23.6568 15.2467 0.159 0.079 0.084
H -18.3915 -24.7033 16.4008 0.126 -0.143 0.063
H -16.7474 -25.0976 15.7965 -0.048 -0.105 0.000
C -9.5971 -13.7341 18.9206 -0.102 -0.110 -0.256
C -8.9299 -15.0872 18.8476 0.400 0.013 0.277
O -7.7427 -15.2351 19.0568 -0.362 0.125 -0.130
C -9.8264 -16.2586 18.5665 0.002 -0.522 -0.046
H -8.8774 -12.9253 18.8455 0.122 -0.032 0.108
H -10.1225 -13.6747 19.8773 -0.040 0.070 -0.021
H -10.3319 -13.6292 18.1181 -0.008 0.022 0.104
H -10.5346 -16.4376 19.3795 -0.055 0.273 -0.046
H -9.2510 -17.1766 18.4675 0.118 0.081 -0.054
H -10.4092 -16.1176 17.6576 -0.091 0.112 0.060
C -16.5751 -17.1021 18.8466 0.138 0.006 0.143
********

• Brief:
Please duplicate everything further up without altering anything.

• Worked solution:
1.
ORCA calculation (the ωB97M-V functional and the def2-TZVPD basis) on a cluster of 9 separate species, C26H55N5O8 in total at a distorted geometry.

Geometry as XYZ:
```
94
Properties=species:S:1:pos:R:3:forces:R:3
C -12.3025 -13.9991 15.9784 -0.192 -0.574 0.190
O -11.5558 -13.1323 15.5863 0.276 0.232 -0.069
N -12.2057 -15.3253 15.7019 0.023 0.337 0.221
C -13.2139 -16.2608 16.1400 0.205 -0.712 0.046
C -11.0991 -15.8424 14.9357 0.417 0.110 -0.349
H -13.1479 -13.7923 16.6596 -0.073 0.060 -0.121
H -13.8211 -15.8506 16.9446 -0.158 0.233 -0.207
H -12.7472 -17.1605 16.5528 0.140 0.134 -0.014
H -13.8183 -16.5958 15.2923 -0.237 0.159 0.127
H -11.4301 -16.4915 14.1230 -0.176 0.009 0.062
H -10.5481 -15.0093 14.5021 -0.084 0.030 0.043
H -10.4025 -16.4126 15.5568 -0.140 -0.062 0.049
C -13.3336 -25.6846 21.6668 -0.175 -0.156 -0.080
O -12.4981 -26.1250 22.4249 0.201 -0.027 0.140
N -14.4932 -25.0997 22.0408 -0.236 -0.053 -0.223
C -15.3277 -24.4340 21.0694 -0.328 0.206 -0.143
C -14.7776 -24.8568 23.4330 0.260 0.162 0.267
H -13.2418 -25.7568 20.5707 0.050 0.034 -0.042
H -16.3908 -24.5848 21.2787 0.098 -0.080 0.236
H -15.1799 -24.8234 20.0638 0.317 0.093 0.019
H -15.1467 -23.3529 21.0788 -0.026 -0.040 -0.142
H -14.2934 -25.6113 24.0474 -0.001 -0.062 -0.065
H -14.3916 -23.8798 23.7509 -0.109 -0.032 -0.015
H -15.8527 -24.8821 23.5946 -0.054 -0.015 0.015
C -12.4289 -19.7192 18.0043 -0.107 0.125 0.165
O -11.7012 -18.7367 18.0009 0.028 -0.135 0.066
N -13.2170 -20.0812 19.0484 0.296 -0.494 -0.825
C -14.0490 -21.2587 18.9849 -0.366 -0.471 0.453
C -13.1742 -19.3736 20.2823 -0.296 1.068 0.314
H -12.5164 -20.3923 17.1429 -0.092 -0.037 -0.037
H -15.0618 -21.0306 19.3368 0.041 0.157 -0.098
H -13.6844 -22.0533 19.6472 0.146 0.063 -0.115
H -14.1409 -21.6769 17.9879 0.258 0.167 -0.144
H -12.6036 -19.8622 21.0759 -0.078 -0.232 -0.052
H -12.7431 -18.3866 20.1169 0.163 -0.134 -0.100
H -14.1993 -19.1863 20.6093 -0.004 -0.191 0.315
C -10.4369 -22.7214 17.4682 -0.398 0.087 0.190
O -11.5829 -23.0496 17.1947 0.279 0.201 -0.031
N -9.3479 -23.4893 17.3198 0.102 0.027 0.025
C -8.0930 -23.1258 17.9291 0.334 -0.009 0.472
C -9.4616 -24.8396 16.8487 0.137 -0.738 -0.087
H -10.1805 -21.7364 17.8926 -0.148 0.063 -0.058
H -7.2643 -23.4534 17.3030 0.003 0.099 -0.082
H -7.9706 -23.5998 18.9135 -0.056 -0.069 -0.170
H -8.0165 -22.0523 18.0953 -0.113 0.030 -0.205
H -10.4466 -25.0129 16.4284 -0.033 0.114 -0.011
H -8.7004 -25.0468 16.0919 -0.062 0.113 -0.028
H -9.3034 -25.5639 17.6579 -0.068 0.140 0.019
C -12.0295 -16.4558 22.0611 -0.493 0.146 -0.406
C -12.3525 -17.2470 23.3062 0.387 0.285 0.084
O -13.4729 -17.2892 23.7462 -0.337 -0.159 0.011
C -11.2036 -17.9146 24.0363 0.002 0.172 -0.344
H -12.9475 -16.2412 21.5099 -0.030 -0.083 0.130
H -11.3471 -16.9693 21.3841 0.204 0.025 0.225
H -11.6192 -15.4816 22.3396 0.268 -0.140 0.081
H -11.4600 -18.9616 24.1881 0.093 -0.022 0.119
H -11.0716 -17.4283 25.0018 -0.102 -0.078 0.091
H -10.2718 -17.8208 23.4813 0.020 -0.137 0.005
C -17.6692 -22.4093 17.8063 0.082 0.009 -0.191
C -16.8333 -23.5332 17.2500 -0.269 -0.176 0.222
O -15.7810 -23.8697 17.7449 0.199 0.159 0.068
C -17.4192 -24.3021 16.1014 -0.292 0.157 -0.363
H -17.3928 -22.2140 18.8387 0.014 -0.014 0.048
H -18.7248 -22.6712 17.7263 -0.014 0.123 0.082
H -17.5102 -21.4948 17.2257 -0.011 -0.037 -0.001
H -17.6466 -23.6568 15.2467 0.159 0.079 0.084
H -18.3915 -24.7033 16.4008 0.126 -0.143 0.063
H -16.7474 -25.0976 15.7965 -0.048 -0.105 0.000
C -9.5971 -13.7341 18.9206 -0.102 -0.110 -0.256
C -8.9299 -15.0872 18.8476 0.400 0.013 0.277
O -7.7427 -15.2351 19.0568 -0.362 0.125 -0.130
C -9.8264 -16.2586 18.5665 0.002 -0.522 -0.046
H -8.8774 -12.9253 18.8455 0.122 -0.032 0.108
H -10.1225 -13.6747 19.8773 -0.040 0.070 -0.021
H -10.3319 -13.6292 18.1181 -0.008 0.022 0.104
H -10.5346 -16.4376 19.3795 -0.055 0.273 -0.046
H -9.2510 -17.1766 18.4675 0.118 0.081 -0.054
H -10.4092 -16.1176 17.6576 -0.091 0.112 0.060
C -16.5751 -17.1021 18.8466 0.138 0.006 0.143